Your job: write out all of the data below word for word.

Starting from a cell relaxed with PBE, the X-ray powder pattern of Nd3Dy8Tm2 was computed for copper Kα.
Neutral-atom scattering factors, no anomalous dispersion.

Cell and atoms:
a = 11.7673 Å, b = 11.7673 Å, c = 6.7590 Å
α = 101.99°, β = 101.99°, γ = 27.35°
Fractional positions:
Nd (0.0000, 0.0000, 0.0000)
Nd (0.4884, 0.4884, 0.7107)
Nd (0.5116, 0.5116, 0.2893)
Dy (0.0775, 0.0775, 0.5951)
Dy (0.1783, 0.1783, 0.2649)
Dy (0.3310, 0.3310, 0.4701)
Dy (0.3776, 0.3776, 0.0111)
Dy (0.6224, 0.6224, 0.9889)
Dy (0.6690, 0.6690, 0.5299)
Dy (0.8217, 0.8217, 0.7351)
Dy (0.9225, 0.9225, 0.4049)
Tm (0.2308, 0.2308, 0.8156)
Tm (0.7692, 0.7692, 0.1844)

Largest 6 diffraction maxima, sorted by position, 2θ from 10° to 80°:
Position (°2θ)  intensity
31.0  77.6
31.6  100.0
32.0  30.7
32.2  55.2
32.3  25.4
46.0  22.6

---

Starting from a cell relaxed with PBE, the X-ray powder pattern of Nd5DyTm3 was computed for copper Kα.
Neutral-atom scattering factors, no anomalous dispersion.

Cell and atoms:
a = 8.9235 Å, b = 8.9235 Å, c = 11.6108 Å
α = 109.04°, β = 109.04°, γ = 44.39°
Fractional positions:
Nd (0.1073, 0.1162, 0.5531)
Nd (0.1162, 0.1073, 0.0531)
Nd (0.1911, 0.8089, 0.7500)
Nd (0.2492, 0.4104, 0.6599)
Nd (0.4104, 0.2492, 0.1599)
Nd (0.5896, 0.7508, 0.8401)
Nd (0.7508, 0.5896, 0.3401)
Nd (0.8089, 0.1911, 0.2500)
Nd (0.8838, 0.8927, 0.9469)
Nd (0.8927, 0.8838, 0.4469)
Dy (0.2567, 0.7433, 0.2500)
Dy (0.7433, 0.2567, 0.7500)
Tm (0.1456, 0.3318, 0.8752)
Tm (0.3318, 0.1456, 0.3752)
Tm (0.5000, 0.5000, 0.0000)
Tm (0.5000, 0.5000, 0.5000)
Tm (0.6682, 0.8544, 0.6248)
Tm (0.8544, 0.6682, 0.1248)

Largest 6 diffraction maxima, sorted by position, 2θ from 10° to 80°:
Position (°2θ)  intensity
30.8  100.0
31.2  38.6
32.8  16.8
35.4  15.2
38.3  8.4
54.8  12.0

---

Starting from a cell relaxed with PBE, the X-ray powder pattern of Nd7DyTm2 was computed for copper Kα.
Neutral-atom scattering factors, no anomalous dispersion.

Cell and atoms:
a = 9.3028 Å, b = 9.3028 Å, c = 5.6939 Å
α = 90.00°, β = 90.00°, γ = 122.78°
Fractional positions:
Nd (0.0000, 0.0000, 0.0000)
Nd (0.2065, 0.4348, 0.0000)
Nd (0.2777, 0.7223, 0.5000)
Nd (0.4348, 0.2065, 0.0000)
Nd (0.5652, 0.7935, 0.0000)
Nd (0.7223, 0.2777, 0.5000)
Nd (0.7935, 0.5652, 0.0000)
Dy (0.5000, 0.5000, 0.5000)
Tm (0.2050, 0.7950, 0.0000)
Tm (0.7950, 0.2050, 0.0000)

Largest 6 diffraction maxima, sorted by position, 2θ from 10° to 80°:
Position (°2θ)  intensity
15.6  49.9
29.7  59.8
31.4  56.1
33.2  100.0
34.5  58.5
43.8  41.5

---

Starting from a cell relaxed with PBE, the X-ray powder pattern of Nd3Dy2Tm8 was computed for copper Kα.
Neutral-atom scattering factors, no anomalous dispersion.

Cell and atoms:
a = 6.1327 Å, b = 6.1384 Å, c = 11.1845 Å
α = 89.87°, β = 79.40°, γ = 80.36°
Fractional positions:
Nd (0.0000, 0.0000, 0.0000)
Nd (0.2309, 0.4618, 0.0791)
Nd (0.7691, 0.5382, 0.9209)
Dy (0.3845, 0.7693, 0.4624)
Dy (0.6155, 0.2307, 0.5376)
Tm (0.0767, 0.1523, 0.6889)
Tm (0.1539, 0.3076, 0.3867)
Tm (0.3080, 0.6128, 0.7650)
Tm (0.4630, 0.9249, 0.1579)
Tm (0.5370, 0.0751, 0.8421)
Tm (0.6920, 0.3872, 0.2350)
Tm (0.8461, 0.6924, 0.6133)
Tm (0.9233, 0.8477, 0.3111)

Largest 6 diffraction maxima, sorted by position, 2θ from 10° to 80°:
Position (°2θ)  intensity
30.9  33.6
31.0  100.0
35.9  67.5
51.6  32.0
61.4  19.0
61.4  33.2

---

Starting from a cell relaxed with PBE, the X-ray powder pattern of Nd4Dy6Tm was computed for copper Kα.
Neutral-atom scattering factors, no anomalous dispersion.

Cell and atoms:
a = 11.0265 Å, b = 11.0265 Å, c = 3.5658 Å
α = 90.00°, β = 90.00°, γ = 120.00°
Fractional positions:
Nd (0.0000, 0.0000, 0.0000)
Nd (0.5036, 0.0072, 0.5000)
Nd (0.5036, 0.4964, 0.5000)
Nd (0.9928, 0.4964, 0.5000)
Dy (0.1783, 0.3566, 0.0000)
Dy (0.1783, 0.8217, 0.0000)
Dy (0.3077, 0.1538, 0.5000)
Dy (0.6434, 0.8217, 0.0000)
Dy (0.8462, 0.1538, 0.5000)
Dy (0.8462, 0.6923, 0.5000)
Tm (0.6667, 0.3333, 0.0000)

Largest 6 diffraction maxima, sorted by position, 2θ from 10° to 80°:
Position (°2θ)  intensity

Starting from a cell relaxed with PBE, the X-ray powder pattern of Nd3Dy8Tm2 was computed for copper Kα.
Neutral-atom scattering factors, no anomalous dispersion.

Cell and atoms:
a = 11.7673 Å, b = 11.7673 Å, c = 6.7590 Å
α = 101.99°, β = 101.99°, γ = 27.35°
Fractional positions:
Nd (0.0000, 0.0000, 0.0000)
Nd (0.4884, 0.4884, 0.7107)
Nd (0.5116, 0.5116, 0.2893)
Dy (0.0775, 0.0775, 0.5951)
Dy (0.1783, 0.1783, 0.2649)
Dy (0.3310, 0.3310, 0.4701)
Dy (0.3776, 0.3776, 0.0111)
Dy (0.6224, 0.6224, 0.9889)
Dy (0.6690, 0.6690, 0.5299)
Dy (0.8217, 0.8217, 0.7351)
Dy (0.9225, 0.9225, 0.4049)
Tm (0.2308, 0.2308, 0.8156)
Tm (0.7692, 0.7692, 0.1844)

Largest 6 diffraction maxima, sorted by position, 2θ from 10° to 80°:
Position (°2θ)  intensity
31.0  77.6
31.6  100.0
32.0  30.7
32.2  55.2
32.3  25.4
46.0  22.6

---

Starting from a cell relaxed with PBE, the X-ray powder pattern of Nd5DyTm3 was computed for copper Kα.
Neutral-atom scattering factors, no anomalous dispersion.

Cell and atoms:
a = 8.9235 Å, b = 8.9235 Å, c = 11.6108 Å
α = 109.04°, β = 109.04°, γ = 44.39°
Fractional positions:
Nd (0.1073, 0.1162, 0.5531)
Nd (0.1162, 0.1073, 0.0531)
Nd (0.1911, 0.8089, 0.7500)
Nd (0.2492, 0.4104, 0.6599)
Nd (0.4104, 0.2492, 0.1599)
Nd (0.5896, 0.7508, 0.8401)
Nd (0.7508, 0.5896, 0.3401)
Nd (0.8089, 0.1911, 0.2500)
Nd (0.8838, 0.8927, 0.9469)
Nd (0.8927, 0.8838, 0.4469)
Dy (0.2567, 0.7433, 0.2500)
Dy (0.7433, 0.2567, 0.7500)
Tm (0.1456, 0.3318, 0.8752)
Tm (0.3318, 0.1456, 0.3752)
Tm (0.5000, 0.5000, 0.0000)
Tm (0.5000, 0.5000, 0.5000)
Tm (0.6682, 0.8544, 0.6248)
Tm (0.8544, 0.6682, 0.1248)

Largest 6 diffraction maxima, sorted by position, 2θ from 10° to 80°:
Position (°2θ)  intensity
30.8  100.0
31.2  38.6
32.8  16.8
35.4  15.2
38.3  8.4
54.8  12.0

---

Starting from a cell relaxed with PBE, the X-ray powder pattern of Nd7DyTm2 was computed for copper Kα.
Neutral-atom scattering factors, no anomalous dispersion.

Cell and atoms:
a = 9.3028 Å, b = 9.3028 Å, c = 5.6939 Å
α = 90.00°, β = 90.00°, γ = 122.78°
Fractional positions:
Nd (0.0000, 0.0000, 0.0000)
Nd (0.2065, 0.4348, 0.0000)
Nd (0.2777, 0.7223, 0.5000)
Nd (0.4348, 0.2065, 0.0000)
Nd (0.5652, 0.7935, 0.0000)
Nd (0.7223, 0.2777, 0.5000)
Nd (0.7935, 0.5652, 0.0000)
Dy (0.5000, 0.5000, 0.5000)
Tm (0.2050, 0.7950, 0.0000)
Tm (0.7950, 0.2050, 0.0000)

Largest 6 diffraction maxima, sorted by position, 2θ from 10° to 80°:
Position (°2θ)  intensity
15.6  49.9
29.7  59.8
31.4  56.1
33.2  100.0
34.5  58.5
43.8  41.5

---

Starting from a cell relaxed with PBE, the X-ray powder pattern of Nd3Dy2Tm8 was computed for copper Kα.
Neutral-atom scattering factors, no anomalous dispersion.

Cell and atoms:
a = 6.1327 Å, b = 6.1384 Å, c = 11.1845 Å
α = 89.87°, β = 79.40°, γ = 80.36°
Fractional positions:
Nd (0.0000, 0.0000, 0.0000)
Nd (0.2309, 0.4618, 0.0791)
Nd (0.7691, 0.5382, 0.9209)
Dy (0.3845, 0.7693, 0.4624)
Dy (0.6155, 0.2307, 0.5376)
Tm (0.0767, 0.1523, 0.6889)
Tm (0.1539, 0.3076, 0.3867)
Tm (0.3080, 0.6128, 0.7650)
Tm (0.4630, 0.9249, 0.1579)
Tm (0.5370, 0.0751, 0.8421)
Tm (0.6920, 0.3872, 0.2350)
Tm (0.8461, 0.6924, 0.6133)
Tm (0.9233, 0.8477, 0.3111)

Largest 6 diffraction maxima, sorted by position, 2θ from 10° to 80°:
Position (°2θ)  intensity
30.9  33.6
31.0  100.0
35.9  67.5
51.6  32.0
61.4  19.0
61.4  33.2

---

Starting from a cell relaxed with PBE, the X-ray powder pattern of Nd4Dy6Tm was computed for copper Kα.
Neutral-atom scattering factors, no anomalous dispersion.

Cell and atoms:
a = 11.0265 Å, b = 11.0265 Å, c = 3.5658 Å
α = 90.00°, β = 90.00°, γ = 120.00°
Fractional positions:
Nd (0.0000, 0.0000, 0.0000)
Nd (0.5036, 0.0072, 0.5000)
Nd (0.5036, 0.4964, 0.5000)
Nd (0.9928, 0.4964, 0.5000)
Dy (0.1783, 0.3566, 0.0000)
Dy (0.1783, 0.8217, 0.0000)
Dy (0.3077, 0.1538, 0.5000)
Dy (0.6434, 0.8217, 0.0000)
Dy (0.8462, 0.1538, 0.5000)
Dy (0.8462, 0.6923, 0.5000)
Tm (0.6667, 0.3333, 0.0000)

Largest 6 diffraction maxima, sorted by position, 2θ from 10° to 80°:
Position (°2θ)  intensity